Sunday, August 23, 2009

4.8 Mile Paddle on Black Creek
Sunday, August 23, 2009

Ann suggested we take the kayaks out today and since there's no telling how many more times we'll be able to do that this year, I agreed pretty quickly. The rain this week has most of the creeks running high, so we wanted to stick to waters that we knew would be safe... ie. a pond, lake, or river. Toyed briefly with the idea of heading down to Honeoye or Canadice Lake, even more briefly with hauling the boats 1/4 mile from the Turning Point Park lot down to the Genesee River and heading upstream to Lower Falls... but in the end decided on Black Creek out in Churchville, where a dam creates a wide, easy-to-paddle backwater a couple of miles upstream.

I wondered briefly when we got there if we'd made a good choice, since it seemed like everyone and his brother (and all their kids, to boot) was there with a canoe or kayak. But in the end, other than one noisy group that we passed twice, we mostly had the water to ourselves. Of course, the weather may have helped with that... a little over a mile upstream from where we put in, it started sprinkling lightly... no big deal, if it let up quickly. Then we looked up ahead and saw what seemed like a wall of rain advancing down the river. Ann asked if I saw it, I said yes, and we both paddled like mad to get under the cover of some overhanging trees on opposite sides of the creek. Paddlers with sprayskirts probably don't need to be all that concerned about rain, as long as the water isn't too rough... but our boats have fairly wide cockpits and are totally open, so we were looking at taking on a lot of water if the rain was heavy and lasted for any length of time. And kayaks full of water don't float all that well...

I'd guess we had to wait about 10 minutes before it eased up... ten cold, wet minutes as it rained harder and harder and the branches offered decreasing protection. Finally, we moved out from under cover, agreed that we should probably head back... and it kicked in again. This time we both ducked under the same trees, and fortunately the worst rain only lasted a few minutes.

Record 1
Here is a 11-piece molecular cluster, C26H79N17O11 overall in a non-equilibrium geometry from OMol25. Energies are from the ωB97M-V functional and the def2-TZVPD basis.

Electronic energy, Eh: -2796.6885
HOMO energy, eV: -8.309
Charge: 0
Energy relative to the best compared isomer or geometry (same formula, charge and spin), kcal per mole: 4.6
SMILES: COC[C@H](C)N.COC[C@H](C)N.COC[C@H](C)N.COC[C@H](C)N.COC[C@H](C)N.NC(N)=O.NC(N)=O.NC(N)=O.NC(N)=O.NC(N)=O.NC(N)=O
E_LUMO, eV: 0.0
F_max, eV Å⁻¹: 2.4
Frontier orbital gap, eV: 8.30

```
133
Properties=species:S:1:pos:R:3:forces:R:3
H -9.0789 1.7113 -9.5132 -0.103 0.007 -0.402
H -7.6500 -0.2514 -6.0258 0.058 0.149 0.010
H -7.4532 -0.2937 -0.6143 0.142 0.003 -0.132
H -16.8704 1.2281 -5.2608 -0.102 -0.145 0.350
N -9.6155 2.7700 1.2719 -0.179 0.325 -0.905
H -11.0147 4.3572 -3.4403 0.629 -0.026 -0.283
H -9.8577 -1.5830 1.5421 -0.192 -0.291 -0.325
H -10.6684 7.5539 -3.6021 -0.041 -0.091 0.090
N -9.4875 -0.9124 -7.6114 -0.200 -0.756 -1.125
H -6.5986 -1.5412 -6.5060 -0.017 -0.014 -0.052
H -11.8815 4.2559 -13.3705 0.437 -0.187 -0.160
C -11.5894 2.8465 -10.4403 -1.498 -1.166 -0.056
N -11.3422 4.9325 -4.2097 -0.918 -0.252 -0.002
H -12.6558 2.9728 -10.1732 0.119 0.391 -0.093
N -8.1952 -0.7675 -1.0939 -1.150 -0.826 -0.746
H -5.7019 4.6750 -2.3173 0.050 -0.128 -0.012
H -11.9680 2.4494 -12.9971 0.072 0.233 -0.505
H -2.3689 1.0193 -1.4745 -0.127 -0.086 0.032
H -17.6640 3.6084 -2.1849 -0.388 0.094 -0.441
O -9.6539 2.8085 -1.0034 -0.264 0.032 0.254
N -10.5927 -2.1127 -4.1497 0.202 0.336 0.321
H -6.4324 2.1642 -0.4930 0.186 -0.114 0.334
N -9.9292 4.7598 0.1287 0.129 -0.712 -0.232
H -12.8294 2.8923 -2.1861 -0.031 0.042 -0.086
H -5.6544 -2.8277 -4.8379 0.174 -0.339 0.342
H -9.5067 6.3848 -2.9526 -0.017 -0.085 -0.015
H -13.2753 2.2249 -0.5860 -0.055 0.235 0.015
N -5.8618 -2.1425 -4.1376 -0.503 0.627 -0.291
H -8.7150 5.1453 -8.2378 -0.001 -0.112 0.473
C -4.4248 1.3547 -0.8933 0.967 -0.859 -0.190
N -10.1729 -2.6360 -8.9802 -0.100 0.010 -0.490
H -8.4119 -0.7169 1.3312 0.086 -0.049 -0.002
N -11.0705 1.6136 -3.8458 0.242 0.187 -1.243
H -7.2868 4.0589 -1.9176 0.033 -0.489 0.140
C -6.6836 -1.1120 -4.4794 0.191 0.873 -0.346
N -13.2678 1.1399 -5.7371 0.843 -0.240 -0.641
O -11.2286 3.6424 -11.5300 0.554 1.036 0.316
H -10.9191 6.3626 -5.6275 -0.059 -0.228 -0.203
H -9.6742 -0.0559 -7.1025 0.041 -0.190 0.246
C -12.0709 3.4815 -12.6351 -0.783 -0.585 0.514
C -10.0531 -3.3538 -4.3196 -0.572 -1.236 -1.262
H -5.1354 3.3825 -0.5798 0.177 -0.119 0.227
C -9.2255 -1.3871 -0.4525 0.308 0.346 1.121
C -14.6942 0.3695 -7.5850 -0.128 -0.264 -1.277
H -13.0343 -3.7119 -5.5819 0.138 0.022 -0.159
H -18.2225 2.2710 -4.8437 -0.011 0.380 -0.312
H -4.2617 -0.4300 -2.0142 0.560 0.277 0.448
H -13.0341 -1.4455 -5.1016 -0.830 -0.188 0.199
C -9.2741 2.7880 -9.4696 0.079 -0.321 0.678
C -10.3978 -1.3584 -8.5484 -0.335 0.287 1.071
H -7.9456 1.3448 -3.7105 -0.130 0.386 0.355
H -14.5441 2.9317 -3.7560 0.001 -0.458 -0.772
End of the records of molecules >

By the time we got back it had stopped raining altogether, so we decided to keep heading downstream and paddled almost another mile and a half before turning around. For the most part it was pretty easy going, other than one or two very shallow spots.

Last year when we paddled here we saw lots of wildlife and today was the same. There was an egret hunting near where we put in, and two more at other points during our time on the water. For the most part they didn't seem too bothered by our presence, so we got to watch them hunt, which was very cool. A couple of kingfishers swooped around as well, chattering away. We also saw three herons and a number of small turtles, and I one point I passed what I thought was a large stick poking up out of the water which turned out to be the snout of a medium-sized snapping turtle (I think he was as surprised to see me as I was to see him.)

All in all, other than the rain it was a good day to be out on the water. Hopefully we can get in a few more paddling sessions before it gets too chilly to be fun and safe.